**Job:**
Your job: count the lines further below that contain the word "the" and give the number alone.
**Material:**
# 1
# C3H16NO4

4 unconnected molecules or ions with the total composition C3H16NO4 at a distorted geometry (the ωB97M-V functional and the def2-TZVPD basis, the Open Molecules 2025 dataset).

Values from the calculation:
**LUMO**: -0.103 Eh
**Energy above the lowest of the compared OMol25 structures with the same formula, charge and spin**: 24.70 kcal/mol
**DFT total energy**: -479.36058 Eh
**HOMO level**: -13.6 eV
**Largest force on an atom**: 3.57 eV Å⁻¹
**Frontier orbital gap**: 10.8 eV

```
! wB97M-V def2-TZVPD RIJCOSX def2/J DEFGRID3
* xyz 1 1
C 1.00801 -0.29024 1.35452
C -0.31741 -1.03563 0.97017
C -0.28621 -2.18126 -0.04420
O -1.18579 0.11044 0.69728
N 0.72517 0.56267 2.47852
H 1.49565 0.29711 0.50790
H 1.74394 -0.98671 1.64445
H -0.63694 -1.45102 2.04826
H 0.57874 -2.82072 0.27910
H -1.30573 -2.50235 -0.07589
H -0.13615 -1.73788 -1.15601
H -1.35161 0.11313 -0.29809
H 0.21049 1.39209 2.20379
H 0.13940 0.04740 3.14853
H 1.62860 0.80795 2.89599
H -0.10020 3.81985 0.63795
H -0.48873 2.54322 -0.12239
O 0.14853 2.89568 0.52017
H -0.21224 -1.30436 -3.81214
H 0.89971 -0.28267 -4.11855
O 0.37039 -0.64504 -3.37510
H -0.47630 0.27376 -2.27132
H -1.40137 1.54546 -2.35879
O -1.04994 0.82913 -1.75413
*
```

# 2
# C4H7ClN2

A molecular structure, C4H7ClN2 at a distorted geometry (the ωB97M-V functional and the def2-TZVPD basis, the Open Molecules 2025 dataset).

Values from the calculation:
**LUMO**: 0.003 Eh
**Energy above the lowest of the compared OMol25 structures with the same formula, charge and spin**: 76.00 kcal/mol
**DFT total energy**: -726.21944 Eh
**HOMO level**: -10.3 eV
**Largest force on an atom**: 4.80 eV Å⁻¹
**Frontier orbital gap**: 10.4 eV

```
! wB97M-V def2-TZVPD RIJCOSX def2/J DEFGRID3
* xyz 0 1
C 1.28954 1.26839 -0.33747
C -1.69502 0.05693 -0.67870
C -0.36047 -0.75618 -0.67104
C 0.89574 -0.06937 -0.10513
N 1.66438 2.36934 -0.30615
N 0.32623 0.07826 1.77382
Cl 2.29918 -1.16196 -0.06313
H -1.86143 0.19226 -1.77715
H -1.32304 1.05465 -0.23970
H -2.45852 -0.45154 0.01973
H -0.44080 -1.57481 0.00764
H -0.07864 -1.15948 -1.65619
H 0.92047 -0.71639 1.97757
H 0.82237 0.86991 2.05591
*
```


The following is a quantum chemistry calculation of a molecular structure, C36H27Br2FeN7O3S, from the Open Molecules 2025 dataset.

## Properties
Total charge   0
HOMO level (spin up / spin down)   -6.4078 / -6.3947 eV
E_LUMO (spin up / spin down)   0.0067 / 0.0067 Eh
Energy relative to the best compared isomer or geometry (same formula, charge and spin)   1.9 kJ/mol

Cartesian coordinates (Å):
Fe: 0.0525 0.1413 0.1414
Br: -2.9668 -2.3150 -3.2585
C: -3.2948 -1.8008 -1.4661
C: -4.5341 -2.0823 -0.8878
C: -4.8069 -1.7364 0.4076
Br: -6.5068 -2.1607 1.1435
C: -3.8319 -1.0809 1.1933
C: -3.9899 -0.7042 2.5452
C: -2.9544 -0.0966 3.1980
C: -1.7567 0.1558 2.5131
N: -1.5832 -0.1687 1.2492
C: -2.5901 -0.7870 0.5883
C: -2.2673 -1.1456 -0.7733
O: -1.1234 -0.8717 -1.2376
H: -5.2839 -2.5889 -1.4806
H: -4.9250 -0.9074 3.0494
H: -3.0409 0.2008 4.2350
H: -0.9317 0.6549 3.0040
N: 2.0152 -3.0675 2.2388
C: 2.0946 -2.0662 3.1830
C: 1.5387 -0.9782 2.5955
N: 1.1190 -1.2948 1.3185
C: 1.4243 -2.5642 1.1345
C: 1.1945 -3.2700 -0.1151
N: 0.8969 -2.5943 -1.1852
C: 0.6481 -3.5098 -2.1679
C: 0.8035 -4.7734 -1.6695
N: 1.1534 -4.6166 -0.3444
H: 2.3697 -4.0016 2.3423
H: 2.5265 -2.2244 4.1547
H: 1.4113 0.0170 2.9846
H: 0.3222 -3.2097 -3.1505
H: 0.6809 -5.7490 -2.1085
H: 1.2532 -5.3584 0.3251
O: -0.8715 1.7188 -0.5499
C: -0.9145 1.9980 -1.8226
C: -2.0629 2.6253 -2.3487
C: -2.1508 2.9841 -3.6776
C: -1.0976 2.7320 -4.5574
C: 0.0362 2.1148 -4.0683
C: 0.1540 1.7547 -2.7226
C: 1.3839 1.1344 -2.2408
N: 1.5505 0.4588 -1.1179
C: 2.8604 0.0469 -1.0709
C: 3.5102 0.4766 -2.1818
N: 2.5623 1.1577 -2.9153
H: -2.8877 2.7969 -1.6668
H: -3.0569 3.4519 -4.0460
H: -1.1763 2.9936 -5.6047
H: 0.8424 1.8891 -4.7600
H: 3.2449 -0.5315 -0.2461
H: 4.5298 0.3640 -2.5071
H: 2.7101 1.6508 -3.7769
O: 0.7164 1.7231 1.7681
S: 0.1322 3.0770 1.4157
C: 0.7969 4.1471 2.6997
C: 1.9302 3.7910 3.4110
**Outcome:**
8